Material.
********
Computed, not measured: C42H63CoF6N2P3Si as an isolated structure at a distorted geometry, with ωB97M-V/def2-TZVPD.

Element x y z (Å)
1 Co 0.11296 1.05621 -0.26398
2 C 1.68046 2.80383 2.83182
3 Si 0.76482 1.34828 2.05406
4 C -1.02469 1.37837 2.71970
5 C -1.26450 2.16500 3.84875
6 C -2.54926 2.36309 4.32906
7 C -3.62918 1.79422 3.67172
8 C -3.41813 1.01466 2.54520
9 C -2.12925 0.80258 2.05961
10 P -1.76151 -0.26570 0.63127
11 C -2.11673 -1.98408 1.23814
12 C -3.43278 -2.19451 1.98967
13 C -3.70457 -3.70889 2.04834
14 C -2.40357 -4.51350 2.22059
15 C -1.36447 -3.68511 2.97230
16 C -0.96648 -2.43776 2.15858
17 C -3.04189 0.08049 -0.72576
18 C -4.50901 -0.34572 -0.60318
19 C -5.39885 0.20127 -1.73604
20 C -5.15973 -0.38986 -3.13668
21 C -4.10445 0.31286 -3.94349
22 C -2.45438 -0.45477 -2.00529
23 C 1.76841 -0.24369 2.34690
24 C 1.99834 -0.60196 3.67519
25 C 2.79045 -1.69273 3.99530
26 C 3.36505 -2.44084 2.97856
27 C 3.14205 -2.09939 1.65461
28 C 2.35084 -0.99870 1.31992
29 P 2.02741 -0.56538 -0.42726
30 C 2.16041 -2.19903 -1.31491
31 C 2.25756 -2.04775 -2.83832
32 C 1.61688 -3.22318 -3.58034
33 C 1.95043 -4.52334 -2.85297
34 C 1.26714 -4.55282 -1.47432
35 C 1.01710 -3.13774 -0.92476
36 C 3.49682 0.34976 -1.11765
37 C 4.87804 -0.23133 -0.77254
38 C 5.46308 0.21674 0.57240
39 C 5.23541 1.71395 0.86460
40 C 4.73480 2.46103 -0.36812
41 C 3.40134 1.86183 -0.80907
42 H 1.86724 2.61196 3.89103
43 H 1.08774 3.71575 2.74307
44 H 2.64674 2.97713 2.35703
45 H -0.43487 2.62719 4.36740
46 H -2.70511 2.97184 5.20978
47 H -4.63527 1.95900 4.03337
48 H -4.27451 0.58665 2.04402
49 H -2.12500 -2.59995 0.32916
50 H -4.28388 -1.69720 1.52938
51 H -3.32405 -1.79358 2.99851
52 H -4.21570 -4.03053 1.13793
53 H -4.38024 -3.90496 2.88170
54 H -1.99681 -4.80053 1.24673
55 H -2.60742 -5.43685 2.76117
56 H -0.47606 -4.28261 3.17578
57 H -1.77735 -3.38899 3.93887
58 H -0.08081 -2.64977 1.55762
59 H -0.70550 -1.62675 2.84553
60 H -2.99857 1.17575 -0.78719
61 H -4.92682 0.03483 0.32756
62 H -4.58161 -1.43612 -0.57770
63 H -5.30906 1.29151 -1.77089
64 H -6.43062 -0.01927 -1.46356
65 H -6.07432 -0.29312 -3.72668
66 H -4.95592 -1.46003 -3.06788
67 H -4.35244 1.33695 -4.20287
68 H -3.74878 -0.24209 -4.80705
69 H -1.37546 -0.44395 -2.06675
70 H -2.83849 -1.42005 -2.32319
71 H 1.55000 -0.02002 4.47407
72 H 2.96313 -1.95331 5.03108
73 H 3.98958 -3.29194 3.21557
74 H 3.60963 -2.70071 0.88624
75 H 3.09485 -2.64811 -0.96909
76 H 3.30463 -1.96279 -3.13517
77 H 1.76394 -1.11977 -3.16415
78 H 1.98857 -3.24168 -4.60462
79 H 0.53296 -3.10246 -3.63369
80 H 3.03527 -4.59745 -2.74095
81 H 1.63167 -5.37758 -3.44877
82 H 1.88892 -5.11030 -0.77161
83 H 0.31154 -5.07579 -1.54096
84 H 0.92621 -3.18123 0.16200
85 H 0.07494 -2.73838 -1.31909
86 H 3.35080 0.22010 -2.19241
87 H 5.55049 0.09259 -1.56958
88 H 4.86153 -1.32298 -0.81634
89 H 6.53170 0.00132 0.54492
90 H 5.04742 -0.37850 1.38376
91 H 6.15544 2.16882 1.22974
92 H 4.48825 1.81828 1.65796
93 H 5.46512 2.40050 -1.17720
94 H 4.60619 3.52127 -0.13524
95 H 3.02483 2.37211 -1.70003
96 H 2.69194 2.00636 0.02130
97 F -0.04462 1.35255 -2.17799
98 P 0.50373 0.80613 -4.27611
99 F -0.64307 1.80540 -4.65311
100 F 1.04422 0.38847 -5.68288
101 F -0.59064 -0.52650 -4.29548
102 F -2.85112 0.50058 -3.10281
103 F 1.64215 1.93690 -4.06263
104 C 1.61681 6.46260 -0.92297
105 C 0.59243 5.41301 -0.67704
106 C -0.78106 5.47790 -0.56370
107 C -1.21243 4.16528 -0.33014
108 N -0.16944 3.33834 -0.28820
109 N 0.91292 4.11964 -0.49402
110 C -2.62157 3.71691 -0.13510
111 H 1.13891 7.43388 -1.01348
112 H 2.16776 6.26028 -1.84242
113 H 2.33221 6.50488 -0.10052
114 H -1.39668 6.35777 -0.64101
115 H 1.82956 3.71379 -0.56543
116 H -3.22185 4.55843 0.20293
117 H -2.67856 2.91648 0.60357
118 H -3.04261 3.37031 -1.08268

Properties
* net charge: +2
* ΔE to the lowest compared entry with this formula, charge and spin: 59.8 kcal per mole
* multiplicity: 6
* Kohn-Sham gap (spin up / spin down): 7.48 / 6.82 eV
* HOMO energy (spin up / spin down): -12.33 / -14.02 eV
********

Work order.
The reader should return the whole of the data further above character by character.

Response.
Computed, not measured: C42H63CoF6N2P3Si as an isolated structure at a distorted geometry, with ωB97M-V/def2-TZVPD.

Element x y z (Å)
1 Co 0.11296 1.05621 -0.26398
2 C 1.68046 2.80383 2.83182
3 Si 0.76482 1.34828 2.05406
4 C -1.02469 1.37837 2.71970
5 C -1.26450 2.16500 3.84875
6 C -2.54926 2.36309 4.32906
7 C -3.62918 1.79422 3.67172
8 C -3.41813 1.01466 2.54520
9 C -2.12925 0.80258 2.05961
10 P -1.76151 -0.26570 0.63127
11 C -2.11673 -1.98408 1.23814
12 C -3.43278 -2.19451 1.98967
13 C -3.70457 -3.70889 2.04834
14 C -2.40357 -4.51350 2.22059
15 C -1.36447 -3.68511 2.97230
16 C -0.96648 -2.43776 2.15858
17 C -3.04189 0.08049 -0.72576
18 C -4.50901 -0.34572 -0.60318
19 C -5.39885 0.20127 -1.73604
20 C -5.15973 -0.38986 -3.13668
21 C -4.10445 0.31286 -3.94349
22 C -2.45438 -0.45477 -2.00529
23 C 1.76841 -0.24369 2.34690
24 C 1.99834 -0.60196 3.67519
25 C 2.79045 -1.69273 3.99530
26 C 3.36505 -2.44084 2.97856
27 C 3.14205 -2.09939 1.65461
28 C 2.35084 -0.99870 1.31992
29 P 2.02741 -0.56538 -0.42726
30 C 2.16041 -2.19903 -1.31491
31 C 2.25756 -2.04775 -2.83832
32 C 1.61688 -3.22318 -3.58034
33 C 1.95043 -4.52334 -2.85297
34 C 1.26714 -4.55282 -1.47432
35 C 1.01710 -3.13774 -0.92476
36 C 3.49682 0.34976 -1.11765
37 C 4.87804 -0.23133 -0.77254
38 C 5.46308 0.21674 0.57240
39 C 5.23541 1.71395 0.86460
40 C 4.73480 2.46103 -0.36812
41 C 3.40134 1.86183 -0.80907
42 H 1.86724 2.61196 3.89103
43 H 1.08774 3.71575 2.74307
44 H 2.64674 2.97713 2.35703
45 H -0.43487 2.62719 4.36740
46 H -2.70511 2.97184 5.20978
47 H -4.63527 1.95900 4.03337
48 H -4.27451 0.58665 2.04402
49 H -2.12500 -2.59995 0.32916
50 H -4.28388 -1.69720 1.52938
51 H -3.32405 -1.79358 2.99851
52 H -4.21570 -4.03053 1.13793
53 H -4.38024 -3.90496 2.88170
54 H -1.99681 -4.80053 1.24673
55 H -2.60742 -5.43685 2.76117
56 H -0.47606 -4.28261 3.17578
57 H -1.77735 -3.38899 3.93887
58 H -0.08081 -2.64977 1.55762
59 H -0.70550 -1.62675 2.84553
60 H -2.99857 1.17575 -0.78719
61 H -4.92682 0.03483 0.32756
62 H -4.58161 -1.43612 -0.57770
63 H -5.30906 1.29151 -1.77089
64 H -6.43062 -0.01927 -1.46356
65 H -6.07432 -0.29312 -3.72668
66 H -4.95592 -1.46003 -3.06788
67 H -4.35244 1.33695 -4.20287
68 H -3.74878 -0.24209 -4.80705
69 H -1.37546 -0.44395 -2.06675
70 H -2.83849 -1.42005 -2.32319
71 H 1.55000 -0.02002 4.47407
72 H 2.96313 -1.95331 5.03108
73 H 3.98958 -3.29194 3.21557
74 H 3.60963 -2.70071 0.88624
75 H 3.09485 -2.64811 -0.96909
76 H 3.30463 -1.96279 -3.13517
77 H 1.76394 -1.11977 -3.16415
78 H 1.98857 -3.24168 -4.60462
79 H 0.53296 -3.10246 -3.63369
80 H 3.03527 -4.59745 -2.74095
81 H 1.63167 -5.37758 -3.44877
82 H 1.88892 -5.11030 -0.77161
83 H 0.31154 -5.07579 -1.54096
84 H 0.92621 -3.18123 0.16200
85 H 0.07494 -2.73838 -1.31909
86 H 3.35080 0.22010 -2.19241
87 H 5.55049 0.09259 -1.56958
88 H 4.86153 -1.32298 -0.81634
89 H 6.53170 0.00132 0.54492
90 H 5.04742 -0.37850 1.38376
91 H 6.15544 2.16882 1.22974
92 H 4.48825 1.81828 1.65796
93 H 5.46512 2.40050 -1.17720
94 H 4.60619 3.52127 -0.13524
95 H 3.02483 2.37211 -1.70003
96 H 2.69194 2.00636 0.02130
97 F -0.04462 1.35255 -2.17799
98 P 0.50373 0.80613 -4.27611
99 F -0.64307 1.80540 -4.65311
100 F 1.04422 0.38847 -5.68288
101 F -0.59064 -0.52650 -4.29548
102 F -2.85112 0.50058 -3.10281
103 F 1.64215 1.93690 -4.06263
104 C 1.61681 6.46260 -0.92297
105 C 0.59243 5.41301 -0.67704
106 C -0.78106 5.47790 -0.56370
107 C -1.21243 4.16528 -0.33014
108 N -0.16944 3.33834 -0.28820
109 N 0.91292 4.11964 -0.49402
110 C -2.62157 3.71691 -0.13510
111 H 1.13891 7.43388 -1.01348
112 H 2.16776 6.26028 -1.84242
113 H 2.33221 6.50488 -0.10052
114 H -1.39668 6.35777 -0.64101
115 H 1.82956 3.71379 -0.56543
116 H -3.22185 4.55843 0.20293
117 H -2.67856 2.91648 0.60357
118 H -3.04261 3.37031 -1.08268

Properties
* net charge: +2
* ΔE to the lowest compared entry with this formula, charge and spin: 59.8 kcal per mole
* multiplicity: 6
* Kohn-Sham gap (spin up / spin down): 7.48 / 6.82 eV
* HOMO energy (spin up / spin down): -12.33 / -14.02 eV